**Contents**
........
AlCoPO2 | PBE with a Hubbard U | relaxed

The structure belongs to space group P4/mmm (No. 123); the cell edges are 3.613, 3.613 and 4.868 Å and the angles 90.00°, 90.00° and 90.00°. Symmetry generates all atoms from Al at (0.000, 0.000, 0.000), Co at (0.500, 0.500, 0.500), P at (0.500, 0.500, 0.000) and O at (0.000, 0.500, 0.500).

Its energy above the most stable polymorph in this dataset is 199 kJ/mol of formula units. The value obtained for the magnetic moment is 0.484 μB per atom. The value obtained for the density of states at the Fermi level is 1.95 states/eV/f.u. The volume is 63.5 Å³ per cell.

~~~~~

The following is a GGA-PBE calculation of a relaxed Ca3TbPa2N6 crystal, from Alexandria via LeMat-Bulk.

Cell lengths 7.8220, 7.8220, 7.0370 Å; angles 102.54, 102.54, 26.32 degrees
Fractional positions:
Ca (0.0000, 0.0000, 0.0000)
Ca (0.3350, 0.3350, 0.6674)
Ca (0.6650, 0.6650, 0.3326)
Tb (0.0000, 0.0000, 0.5000)
Pa (0.3357, 0.3357, 0.1727)
Pa (0.6643, 0.6643, 0.8273)
N (0.1640, 0.1640, 0.6082)
N (0.1758, 0.1758, 0.0601)
N (0.4873, 0.4873, 0.2526)
N (0.5127, 0.5127, 0.7474)
N (0.8242, 0.8242, 0.9399)
N (0.8360, 0.8360, 0.3918)

## Properties
E (eV per cell): -97.39
Raw formation energy (eV per atom): -1.48

~~~~~

Density functional theory data (PBE) for crystalline Pm2SmThSe4 at its relaxed geometry.

```
8
Lattice="-3.8664 -0.5499 -1.4660 -1.7432 -3.7187 5.9923 -2.5615 4.6039 5.0286" Properties=species:S:1:pos:R:3 pbc="T T T"
Pm -2.5615 4.6039 5.0286
Pm -3.2139 2.0270 1.7813
Sm -2.1524 0.4426 5.5104
Th -5.3663 2.4696 7.2918
Se -3.2240 0.6479 8.2596
Se -4.9471 -0.3127 1.2953
Se -3.8847 -1.9003 5.0233
Se -4.2864 2.2355 4.5316
```

Calculated values
Space group = P2/m (10)
Crystal system = monoclinic
ΔE_f (raw) = -1350.0 kJ/mol of formula units
E = -6.196 eV/atom

=====

Density functional theory data (PBE) for crystalline PmSm2ThSe4 at its relaxed geometry.

```
8
Lattice="4.1619 0.0000 0.0000 0.0000 7.2662 -0.1588 0.0000 2.5435 6.8026" Properties=species:S:1:pos:R:3 pbc="T T T"
Pm 2.0810 6.1766 6.7232
Sm 0.0000 2.5435 6.8026
Sm 2.0810 1.2718 3.4013
Th 0.0000 4.9048 3.3219
Se 0.0001 7.3768 4.9813
Se 4.1619 2.4330 1.6625
Se 2.0810 6.1080 1.5637
Se 2.0810 3.7018 5.0801
```

Calculated values
Space group = P2/m (10)
Crystal system = monoclinic
ΔE_f (raw) = -1346.4 kJ/mol of formula units
E = -6.188 eV/atom

=====

Density functional theory data (PBE) for crystalline Pm3SmTh2Se6 at its relaxed geometry.

```
12
Lattice="-0.0904 -6.7285 -2.6754 6.0491 3.9596 -0.4102 0.0381 -1.5335 7.1322" Properties=species:S:1:pos:R:3 pbc="T T T"
Pm 5.0538 1.4271 2.7817
Pm 0.9430 -5.7293 1.2650
Pm 2.9984 -2.1511 2.0233
Sm 0.0000 0.0000 0.0000
Th 4.0055 0.4020 -1.1642
Th 1.9532 -3.1708 -1.9214
Se 3.4793 -4.9967 2.6450
Se 4.4875 -2.4642 -0.5358
Se 2.5175 0.6944 1.4016
Se 5.5161 -1.4508 3.3965
Se 1.5092 -1.8381 4.5824
Se 0.4807 -2.8514 0.6501
```

Calculated values
Space group = C2/m (12)
Crystal system = monoclinic
ΔE_f (raw) = -1993.7 kJ/mol of formula units
E = -6.282 eV/atom

=====

Density functional theory data (PBE) for crystalline PmSm2Th3Se6 at its relaxed geometry.

```
12
Lattice="-6.2026 -3.3933 -0.9401 4.9428 -0.3494 -5.1300 3.0968 -4.5541 4.9290" Properties=species:S:1:pos:R:3 pbc="T T T"
Pm 0.0000 0.0000 0.0000
Sm 1.2285 -1.3638 -3.7337
Sm -2.4884 -2.3789 -2.3364
Th 4.6434 -3.1311 -1.9709
Th -2.8065 -5.1657 0.8298
Th 0.9185 -4.1484 -0.5705
Se -0.4715 -6.7620 -0.1341
Se -0.1869 -3.9016 -3.3315
Se 2.3084 -1.5347 -1.0070
Se 3.2588 -5.7433 -1.5365
Se 2.0238 -4.3952 2.1904
Se -1.4218 -2.5535 0.3954
```

Calculated values
Space group = C2/m (12)
Crystal system = monoclinic
ΔE_f (raw) = -1931.0 kJ/mol of formula units
E = -6.447 eV/atom

=====

Density functional theory data (PBE) for crystalline PmSm3Th2Se6 at its relaxed geometry.

```
12
Lattice="7.2152 0.0116 0.0029 -3.5958 6.2554 0.0029 -1.2048 -2.0860 6.8888" Properties=species:S:1:pos:R:3 pbc="T T T"
Pm 0.0000 0.0000 0.0000
Sm -2.4200 4.1854 3.4473
Sm 4.8347 -0.0045 3.4473
........

**Job**
The reader should work out how many lines further above have the word "Symmetry" in them; a number is enough.

**Done**
1